**Given**
=====
# 1
A geometry-optimized MgNb2I6O2 structure, computed with GGA-PBE.

Structure (CIF):
```
data_MgNb2I6O2
_chemical_formula_sum 'Mg1 Nb2 I6 O2'
_symmetry_space_group_name_H-M 'P 1'
_symmetry_Int_Tables_number 1
_cell_length_a 3.9265
_cell_length_b 7.8843
_cell_length_c 12.1072
_cell_angle_alpha 92.60
_cell_angle_beta 99.24
_cell_angle_gamma 104.40
loop_
_symmetry_equiv_pos_as_xyz
'x,y,z'
loop_
_atom_site_label
_atom_site_type_symbol
_atom_site_fract_x
_atom_site_fract_y
_atom_site_fract_z
_atom_site_occupancy
Mg1 Mg 0.0000 0.0000 0.0000 1
Nb1 Nb 0.3044 0.6717 0.9379 1
Nb2 Nb 0.4470 0.5836 0.3149 1
I1 I 0.1055 0.4704 0.7429 1
I2 I 0.2284 0.3838 0.0752 1
I3 I 0.3450 0.2825 0.4129 1
I4 I 0.4180 0.0076 0.8271 1
I5 I 0.5435 0.9242 0.1653 1
I6 I 0.6529 0.8069 0.5012 1
O1 O 0.8383 0.7204 0.9580 1
O2 O 0.9417 0.5970 0.2908 1
```

Calculated values
- Offset from the most stable computed form: 15 meV per atom
- Calculated formation energy: -1175 meV per atom
- Volume: 356.9 Å³/cell
- Size of the total moment: 0.53 Bohr magnetons per cell
- Mass density: 4.669 g/cm3

# 2
A geometry-optimized MgNb2I6O2 structure, computed with GGA-PBE.

Structure (CIF):
```
data_MgNb2I6O2
_chemical_formula_sum 'Mg2 Nb4 I12 O4'
_symmetry_space_group_name_H-M 'C 1 2 1'
_symmetry_Int_Tables_number 5
_cell_length_a 15.5490
_cell_length_b 3.9854
_cell_length_c 13.4986
_cell_angle_alpha 90.00
_cell_angle_beta 124.59
_cell_angle_gamma 90.00
loop_
_symmetry_equiv_pos_as_xyz
'x,y,z'
'-x,y,-z'
'x+1/2,y+1/2,z'
'-x+1/2,y+1/2,-z'
loop_
_atom_site_label
_atom_site_type_symbol
_atom_site_fract_x
_atom_site_fract_y
_atom_site_fract_z
_atom_site_occupancy
Mg1 Mg 0.0000 0.0000 0.0000 1
Nb1 Nb 0.0709 0.5495 0.6870 1
I1 I 0.0300 0.5028 0.1757 1
I2 I 0.1391 0.5116 0.5335 1
I3 I 0.2249 0.0032 0.1073 1
O1 O 0.0625 0.0140 0.6901 1
```

Calculated values
- Offset from the most stable computed form: 3 meV per atom
- Calculated formation energy: -1187 meV per atom
- Volume: 688.7 Å³/cell
- Size of the total moment: 3.98 Bohr magnetons per cell
- Mass density: 4.840 g/cm3

# 3
A geometry-optimized MgNb2I6O2 structure, computed with GGA-PBE.

Structure (CIF):
```
data_MgNb2I6O2
_chemical_formula_sum 'Mg1 Nb2 I6 O2'
_symmetry_space_group_name_H-M 'P 1'
_symmetry_Int_Tables_number 1
_cell_length_a 3.9384
_cell_length_b 7.8464
_cell_length_c 12.0762
_cell_angle_alpha 84.25
_cell_angle_beta 80.70
_cell_angle_gamma 75.49
loop_
_symmetry_equiv_pos_as_xyz
'x,y,z'
loop_
_atom_site_label
_atom_site_type_symbol
_atom_site_fract_x
_atom_site_fract_y
_atom_site_fract_z
_atom_site_occupancy
Mg1 Mg 0.0000 0.0000 0.0000 1
Nb1 Nb 0.3650 0.3313 0.9407 1
Nb2 Nb 0.6113 0.2186 0.5801 1
I1 I 0.1519 0.6265 0.0700 1
I2 I 0.3706 0.5204 0.7342 1
I3 I 0.3740 0.0948 0.1581 1
I4 I 0.5868 0.4367 0.3960 1
I5 I 0.5966 0.9868 0.8197 1
I6 I 0.8034 0.9083 0.4818 1
O1 O 0.0919 0.2162 0.6027 1
O2 O 0.8863 0.2793 0.9497 1
```

Calculated values
- Offset from the most stable computed form: 0 meV per atom
- Calculated formation energy: -1190 meV per atom
- Volume: 355.8 Å³/cell
- Size of the total moment: 0.63 Bohr magnetons per cell
- Mass density: 4.683 g/cm3

# 4
A geometry-optimized MgI2O16 structure, computed with GGA-PBE.

Structure (CIF):
```
data_MgI2O16
_chemical_formula_sum 'Mg2 I4 O32'
_symmetry_space_group_name_H-M 'P 1 21/c 1'
_symmetry_Int_Tables_number 14
_cell_length_a 10.5071
_cell_length_b 5.1961
_cell_length_c 10.9219
_cell_angle_alpha 90.00
_cell_angle_beta 113.84
_cell_angle_gamma 90.00
loop_
_symmetry_equiv_pos_as_xyz
'x,y,z'
'-x,-y,-z'
'-x,y+1/2,-z+1/2'
'x,-y+1/2,z+1/2'
loop_
_atom_site_label
_atom_site_type_symbol
_atom_site_fract_x
_atom_site_fract_y
_atom_site_fract_z
_atom_site_occupancy
Mg1 Mg 0.0000 0.0000 0.0000 1
I1 I 0.3626 0.0392 0.3741 1
O1 O 0.0558 0.6847 0.3445 1
O2 O 0.0864 0.6383 0.0496 1
O3 O 0.1562 0.2312 0.5322 1
O4 O 0.1822 0.1514 0.3522 1
O5 O 0.2974 0.6970 0.3872 1
O6 O 0.3122 0.5564 0.6965 1
O7 O 0.4165 0.1311 0.8442 1
O8 O 0.4408 0.0824 0.5726 1
```

Calculated values
=====

**Brief**
It remains to duplicate everything above character by character.

**Result**
# 1
A geometry-optimized MgNb2I6O2 structure, computed with GGA-PBE.

Structure (CIF):
```
data_MgNb2I6O2
_chemical_formula_sum 'Mg1 Nb2 I6 O2'
_symmetry_space_group_name_H-M 'P 1'
_symmetry_Int_Tables_number 1
_cell_length_a 3.9265
_cell_length_b 7.8843
_cell_length_c 12.1072
_cell_angle_alpha 92.60
_cell_angle_beta 99.24
_cell_angle_gamma 104.40
loop_
_symmetry_equiv_pos_as_xyz
'x,y,z'
loop_
_atom_site_label
_atom_site_type_symbol
_atom_site_fract_x
_atom_site_fract_y
_atom_site_fract_z
_atom_site_occupancy
Mg1 Mg 0.0000 0.0000 0.0000 1
Nb1 Nb 0.3044 0.6717 0.9379 1
Nb2 Nb 0.4470 0.5836 0.3149 1
I1 I 0.1055 0.4704 0.7429 1
I2 I 0.2284 0.3838 0.0752 1
I3 I 0.3450 0.2825 0.4129 1
I4 I 0.4180 0.0076 0.8271 1
I5 I 0.5435 0.9242 0.1653 1
I6 I 0.6529 0.8069 0.5012 1
O1 O 0.8383 0.7204 0.9580 1
O2 O 0.9417 0.5970 0.2908 1
```

Calculated values
- Offset from the most stable computed form: 15 meV per atom
- Calculated formation energy: -1175 meV per atom
- Volume: 356.9 Å³/cell
- Size of the total moment: 0.53 Bohr magnetons per cell
- Mass density: 4.669 g/cm3

# 2
A geometry-optimized MgNb2I6O2 structure, computed with GGA-PBE.

Structure (CIF):
```
data_MgNb2I6O2
_chemical_formula_sum 'Mg2 Nb4 I12 O4'
_symmetry_space_group_name_H-M 'C 1 2 1'
_symmetry_Int_Tables_number 5
_cell_length_a 15.5490
_cell_length_b 3.9854
_cell_length_c 13.4986
_cell_angle_alpha 90.00
_cell_angle_beta 124.59
_cell_angle_gamma 90.00
loop_
_symmetry_equiv_pos_as_xyz
'x,y,z'
'-x,y,-z'
'x+1/2,y+1/2,z'
'-x+1/2,y+1/2,-z'
loop_
_atom_site_label
_atom_site_type_symbol
_atom_site_fract_x
_atom_site_fract_y
_atom_site_fract_z
_atom_site_occupancy
Mg1 Mg 0.0000 0.0000 0.0000 1
Nb1 Nb 0.0709 0.5495 0.6870 1
I1 I 0.0300 0.5028 0.1757 1
I2 I 0.1391 0.5116 0.5335 1
I3 I 0.2249 0.0032 0.1073 1
O1 O 0.0625 0.0140 0.6901 1
```

Calculated values
- Offset from the most stable computed form: 3 meV per atom
- Calculated formation energy: -1187 meV per atom
- Volume: 688.7 Å³/cell
- Size of the total moment: 3.98 Bohr magnetons per cell
- Mass density: 4.840 g/cm3

# 3
A geometry-optimized MgNb2I6O2 structure, computed with GGA-PBE.

Structure (CIF):
```
data_MgNb2I6O2
_chemical_formula_sum 'Mg1 Nb2 I6 O2'
_symmetry_space_group_name_H-M 'P 1'
_symmetry_Int_Tables_number 1
_cell_length_a 3.9384
_cell_length_b 7.8464
_cell_length_c 12.0762
_cell_angle_alpha 84.25
_cell_angle_beta 80.70
_cell_angle_gamma 75.49
loop_
_symmetry_equiv_pos_as_xyz
'x,y,z'
loop_
_atom_site_label
_atom_site_type_symbol
_atom_site_fract_x
_atom_site_fract_y
_atom_site_fract_z
_atom_site_occupancy
Mg1 Mg 0.0000 0.0000 0.0000 1
Nb1 Nb 0.3650 0.3313 0.9407 1
Nb2 Nb 0.6113 0.2186 0.5801 1
I1 I 0.1519 0.6265 0.0700 1
I2 I 0.3706 0.5204 0.7342 1
I3 I 0.3740 0.0948 0.1581 1
I4 I 0.5868 0.4367 0.3960 1
I5 I 0.5966 0.9868 0.8197 1
I6 I 0.8034 0.9083 0.4818 1
O1 O 0.0919 0.2162 0.6027 1
O2 O 0.8863 0.2793 0.9497 1
```

Calculated values
- Offset from the most stable computed form: 0 meV per atom
- Calculated formation energy: -1190 meV per atom
- Volume: 355.8 Å³/cell
- Size of the total moment: 0.63 Bohr magnetons per cell
- Mass density: 4.683 g/cm3

# 4
A geometry-optimized MgI2O16 structure, computed with GGA-PBE.

Structure (CIF):
```
data_MgI2O16
_chemical_formula_sum 'Mg2 I4 O32'
_symmetry_space_group_name_H-M 'P 1 21/c 1'
_symmetry_Int_Tables_number 14
_cell_length_a 10.5071
_cell_length_b 5.1961
_cell_length_c 10.9219
_cell_angle_alpha 90.00
_cell_angle_beta 113.84
_cell_angle_gamma 90.00
loop_
_symmetry_equiv_pos_as_xyz
'x,y,z'
'-x,-y,-z'
'-x,y+1/2,-z+1/2'
'x,-y+1/2,z+1/2'
loop_
_atom_site_label
_atom_site_type_symbol
_atom_site_fract_x
_atom_site_fract_y
_atom_site_fract_z
_atom_site_occupancy
Mg1 Mg 0.0000 0.0000 0.0000 1
I1 I 0.3626 0.0392 0.3741 1
O1 O 0.0558 0.6847 0.3445 1
O2 O 0.0864 0.6383 0.0496 1
O3 O 0.1562 0.2312 0.5322 1
O4 O 0.1822 0.1514 0.3522 1
O5 O 0.2974 0.6970 0.3872 1
O6 O 0.3122 0.5564 0.6965 1
O7 O 0.4165 0.1311 0.8442 1
O8 O 0.4408 0.0824 0.5726 1
```

Calculated values